Despite public discontent at the influence of Big Money on politics, much of the attention is focused on the famous (or infamous) Citizens United v. Federal Election Commission (FEC) verdict issued in 2010 by the Supreme Court. Survey data suggests that an overwhelming number of Americans—members of both major parties—believe there should be limits on money spent by groups and individuals in support of political candidates. (1) And yet the Supreme Court continues to disregard campaign-finance regulation efforts, rejecting the widely held public consensus.
Shifting the focus
Although a great deal of the public’s outrage about money in politics is directed at the Citizens United decision—in which dissenters maintain that the Court had said that “corporations are people.” But the reality isn’t so simple—and Citizens was no isolated decision. Rather, it is better understood as one chapter in a decades-long effort by a faction of the Court’s conservative judges to undermine Congress’s ability to regulate campaign spending under the flag of free speech concerns.
What’s really at play?
Citizens United was brought before the court when the FEC—the government agency responsible for enforcing federal election law—barred a nonprofit group called Citizens United from airing a film that was critical of Hillary Clinton during the 2008 Democratic presidential primary. In trying to block the film, the FEC was attempting to enforce a law passed by Congress in 2002—the Bipartisan Campaign Reform Act (the BCRA, also known as the McCain-Feingold Act, for the two senators who authored it). The BCRA created a ban on “electioneering communication” within a short window before an election, and Citizens United sued, saying the law was unconstitutional. A slight majority of the Court’s justices agreed, and they overturned the BCRA’s electioneering provision.
-- Unrelated to this page: data records --
'''
FeRe2 after structural relaxation, computed with PBE.

Summary:
The space group is P6_3/mmc, No. 194.

Lattice parameters (Å, degrees): 4.1952 5.3224 4.1952 90.00 60.00 90.00
Fractional positions:
Fe 0.6667 0.2500 0.6667
Fe 0.3333 0.7500 0.3333
Re 0.6667 0.7500 0.6667
Re 0.0000 0.0000 0.0000
Re 0.0000 0.5000 0.0000
Re 0.3333 0.2500 0.3333

---

Fe3Re5 after structural relaxation, computed with PBE.

Summary:
The space group is P6_3/mcm, No. 193.

Lattice parameters (Å, degrees): 7.2011 7.2013 4.8328 90.00 90.00 60.00
Fractional positions:
Re 0.6667 0.6667 0.5000
Re 0.6667 0.6667 0.0000
Re 0.0000 0.2225 0.7500
Re 0.7775 0.2225 0.2500
Re 0.2225 0.0000 0.2500
Re 0.3333 0.3333 0.0000
Re 0.0000 0.7775 0.2500
Re 0.3333 0.3333 0.5000
Re 0.2225 0.7775 0.7500
Re 0.7775 0.0000 0.7500
Fe 0.5833 0.0000 0.2500
Fe 0.0000 0.5833 0.7500
Fe 0.4167 0.0000 0.7500
Fe 0.4167 0.5833 0.2500
Fe 0.5833 0.4167 0.7500
Fe 0.0000 0.4167 0.2500

---

FeRe after structural relaxation, computed with PBE.

Summary:
The space group is P4/nmm, No. 129.

Lattice parameters (Å, degrees): 2.7143 2.7143 7.1100 90.00 90.00 90.00
Fractional positions:
Re 0.7500 0.7500 0.3511
Re 0.2500 0.2500 0.6489
Fe 0.7500 0.7500 0.8915
Fe 0.2500 0.2500 0.1085

---

FeRe after structural relaxation, computed with PBE.

Summary:
The space group is P4/nmm, No. 129.

Lattice parameters (Å, degrees): 2.9960 2.9960 5.9528 90.00 90.00 90.00
Fractional positions:
Re 0.5000 0.5000 0.7581
Re 0.0000 0.0000 0.4919
Fe 0.5000 0.5000 0.2312
Fe 0.0000 0.0000 0.0188

---

Number 1: energy relative to the elements 0.048 eV per atom, N(E_F) 5.1 states/eV/cell. Number 2: energy relative to the elements 0.176 eV per atom, N(E_F) 14.1 states/eV/cell. Number 3: energy relative to the elements 0.120 eV per atom, N(E_F) 4.4 states/eV/cell. Number 4: energy relative to the elements 0.084 eV per atom, N(E_F) 3.2 states/eV/cell.

----------

The following is a DFT calculation (PBE) of crystalline FeBiSCl2 at its relaxed geometry.

Calculated values
Energy relative to the lowest polymorph listed for this composition in meV per atom: 0
SG: P4/mmm, No. 123
Formation energy (no corrections) in eV per atom: -0.028

Lattice parameters (Å, degrees): 4.587 4.587 4.612 90.00 90.00 90.00
Positions (direct):
Cl  0.000  0.500  0.000
Cl  0.500  0.000  0.000
Fe  0.000  0.000  0.000
S  0.000  0.000  0.500
Bi  0.500  0.500  0.500

The following is a DFT calculation (PBE) of crystalline Zr7Pt6 at its relaxed geometry.

Calculated values
SG: R-3m, No. 166
ΔE_f in eV/atom: -0.272

Lattice parameters (Å, degrees): 9.737 9.737 9.737 33.65 33.65 33.65
Positions (direct):
Zr  0.500  0.500  0.500
Zr  0.412  0.412  0.923
Zr  0.923  0.412  0.412
Zr  0.077  0.588  0.588
Zr  0.588  0.588  0.077
Zr  0.588  0.077  0.588
Zr  0.412  0.923  0.412
Pt  0.667  0.667  0.667
Pt  0.155  0.155  0.155
Pt  0.047  0.047  0.047
Pt  0.953  0.953  0.953
Pt  0.845  0.845  0.845
Pt  0.333  0.333  0.333
'''
While the Court did not make the blanket proclamation that “corporations are people,” it did hold that since the Constitution does not distinguish between people and corporations in speech matters, there is no legal framework to treat their rights separately. The Court then married this idea—that corporations have First Amendment speech rights—with an idea established in 1976’s Buckley v. Valeo, that money is equivalent to speech in a political context. So, the Court reasoned, if money is speech and corporations have speech rights, limiting how the money they spend on politics is a First Amendment restriction.
It is important to note that Citizens United did not give corporations or individuals the unlimited right to spend money as they choose. Since Buckley v. Valeo, the Court has held that limiting corruption is a valid use of government regulation on spending. Therefore, both individuals and corporations still have limits on how much they can donate directly to a candidate ($2,900, last we checked), in the interest of limiting the ability of deep-pocketed donors to offer outright bribes to candidates in exchange for cash.
But donating to a candidate wasn’t what the nonprofit group Citizens United was trying to do with its anti-Hillary film. They were spending their own money—under their own legal umbrella—to oppose a candidate. This is what the BCRA called “electioneering” and what the Court, in Citizens United, ruled cannot be limited. The legal framework that limits donations to candidates but allows unlimited money to be spent by non-affiliated entities is the basis for the super PACs, which raised and spent billions in 2020.
Though the Court’s ruling can provoke righteous frustration, there is no denying the thorny questions at hand, or the difficulty in fairly regulating “electioneering.” If a citizens group raises money to air a series of commercials asking voters to contact their senators about an issue before an election, shouldn’t they be able to do so? That was just the question at hand in FEC v. Wisconsin Right to Life, Inc., a case the Court heard three years before Citizens. Imagine a world where the government could decide when groups of citizens could publicly address political issues—not just which issues they could discuss, but how and when. Now imagine the government, under both parties, having that power. There are strong arguments on behalf of stripping the government of its regulatory power here. Further, defenders of Citizens are likely to argue that corporations aren’t buildings and logos; they’re people who have chosen to arrange their financial agreements within a certain legal framework. Should doing so force them to forfeit a legal right they’d otherwise maintain?
Where are we today?
Opponents of regulation, for the most part, anchor their opposition to Citizens and the other decisions that have accompanied it in two central points.
First, the dramatic increase in the speech allowed to wealthy individuals by deregulation diminishes the speech rights of everyone else. One single man, Sheldon Adelson, donated $218 million to Republican candidates in 2019 and 2020 alone—an amount that is eight million times the size of the average donation to the Bernie Sanders campaign. Is the Court’s protection of Adelson’s speech rights not accompanied by the drowning out of the voices of millions of non-billionaire Americans?
And second, common sense tells us that a direct contribution to a candidate does not necessarily create the potential for corruption. If a man like Adelson spends hundreds of millions of dollars attacking the opponents of his favorite candidate, would his candidate feel any less indebted to Adelson than if he’d written his opponents a check for the same amount? Here in California, police groups spend millions of dollars in defense of district attorney candidates, often assisting their election to jobs where they will have to decide whether to prosecute police officers who shoot and kill citizens while performing their job. Are we to suppose the district attorney doesn’t remember who spent the money that got them elected—or that, if they hope to be reelected, that money doesn’t factor into their decision-making?
The campaign-finance debate is rich and complicated, involving many hard questions. What, precisely, is corruption? Do citizens who organize themselves into corporations forfeit their rights in doing so? Is it the goal of the First Amendment to allow all political speech, or to ensure that everyone’s voice is heard?
The questions persist, but on one matter, there is no question: the American public, on both sides of the political aisle, is dissatisfied with the status quo. But until we see a dramatic shift in the perspective of the Supreme Court, the playing field is likely to remain tilted toward deregulation, unlimited expenditure, and Big Money—and those who can afford to spend it.
Most Americans want to limit campaign spending, say big donors have greater political influence
Photo credit:
Ian Hutchinson